
The module record provides the equivalent of a logger for array data.


Applying the decorator static_subgrouping_array_recorders with the names of desired recorders as strings or keyword arguments with a given recorder instance initializes the recorders attribute, which contains each recorder as a dictionary would. Results are stored under a group named after decorated function. Nested function calls can be paralleled by nesting results within groups. All that is required is that the recorder be assigned from outer scope to inner (see example below).

def a(x):
    a.r = x
    return x * x.T

def b(x, y):
    a.r = b.r
    return a(x + y)

All recorders default to an instance of EmptyArrayRecorder unless otherwise specified. All operations work on them exactly the same, but no recording occurs. This guarantees that code using recorders will not break if they don’t have them. A similar strategy can be applied for classes and their methods by using class_static_array_debug_recorder.


Complete documentation with more examples.

Someone pasted records of crystals at this point.
+++
This entry pairs a crystal structure of Pm4PrTm3 with its theoretical XRD peak list. Radiation: Cu Kα (λ = 1.5418 Å). Structure: a structure optimized by DFT (PBE).
Intensities are scaled so that the largest is 100.

Main lines, in order of falling intensity (2θ from 15° to 90°):
32.29°, rel. 100; 31.01°, rel. 25; 28.23°, rel. 24; 55.98°, rel. 21; 42.43°, rel. 16; 60.03°, rel. 15; 50.03°, rel. 13; 60.68°, rel. 11; 59.87°, rel. 8; 49.85°, rel. 7

Crystal structure
```
16
Lattice="11.536 0.000 0.000 0.000 7.318 0.000 0.000 0.000 6.308" Properties=species:S:1:pos:R:3 pbc="T T T"
Pm 0.000 0.939 0.000
Pm 0.000 6.372 3.090
Pm 2.831 6.397 5.234
Pm 2.937 0.920 2.080
Pm 5.768 0.946 6.245
Pm 5.768 6.378 3.154
Pm 8.599 0.920 2.080
Pm 8.705 6.397 5.234
Pr 0.000 2.743 3.121
Pr 5.768 4.574 6.275
Tm 0.000 4.550 6.277
Tm 2.880 2.770 5.224
Tm 2.888 4.548 2.070
Tm 5.768 2.768 3.123
Tm 8.656 2.770 5.224
Tm 8.648 4.548 2.070
```

---

This entry pairs a crystal structure of UInPdAu with its theoretical XRD peak list. Radiation: Cu Kα (λ = 1.5418 Å). Structure: a structure optimized by DFT (PBE).
Intensities are scaled so that the largest is 100.

Main lines, in order of falling intensity (2θ from 15° to 90°):
36.63°, rel. 100; 65.94°, rel. 36; 52.76°, rel. 18; 89.27°, rel. 17; 77.87°, rel. 12; 22.19°, rel. 11; 43.24°, rel. 6; 57.92°, rel. 3; 82.17°, rel. 2; 70.51°, rel. 2

Crystal structure
```
4
Lattice="0.000 3.470 3.470 3.470 0.000 3.470 3.470 3.470 0.000" Properties=species:S:1:pos:R:3 pbc="T T T"
U 0.000 0.000 0.000
In 3.470 3.470 3.470
Pd 5.205 5.205 5.205
Au 1.735 1.735 1.735
```

---

This entry pairs a crystal structure of MnCr14Re with its theoretical XRD peak list. Radiation: Cu Kα (λ = 1.5418 Å). Structure: a structure optimized by DFT (PBE).
Intensities are scaled so that the largest is 100.

Main lines, in order of falling intensity (2θ from 15° to 90°):
44.43°, rel. 100; 44.30°, rel. 20; 64.61°, rel. 18; 81.88°, rel. 17; 21.78°, rel. 13; 81.62°, rel. 12; 81.73°, rel. 6; 18.83°, rel. 5; 28.97°, rel. 5; 38.18°, rel. 4

Crystal structure
```
16
Lattice="2.884 -4.089 0.000 2.884 4.089 0.000 0.000 0.000 8.146" Properties=species:S:1:pos:R:3 pbc="T T T"
Mn 0.000 0.000 0.000
Cr 0.000 0.000 4.073
Cr 1.442 2.045 0.000
Cr 1.442 2.045 4.073
Cr 1.430 0.000 2.074
Cr 1.430 0.000 6.072
Cr 2.884 2.062 2.044
Cr 2.884 2.062 6.101
Cr 1.442 -2.045 0.000
Cr 1.442 -2.045 4.073
Cr 2.884 0.000 4.073
Cr 2.884 -2.062 2.044
Cr 2.884 -2.062 6.101
Cr 4.338 0.000 2.074
Cr 4.338 0.000 6.072
Re 2.884 0.000 0.000
```

---

This entry pairs a crystal structure of CdFe2Tc2 with its theoretical XRD peak list. Radiation: Cu Kα (λ = 1.5418 Å). Structure: a structure optimized by DFT (PBE).
Intensities are scaled so that the largest is 100.

Main lines, in order of falling intensity (2θ from 15° to 90°):
43.84°, rel. 100; 39.33°, rel. 94; 41.93°, rel. 50; 35.03°, rel. 23; 64.73°, rel. 20; 83.58°, rel. 20; 75.78°, rel. 18; 27.53°, rel. 16; 37.88°, rel. 16; 79.76°, rel. 15
+++
Here the article continues.



Bases: object


Bases: object

1.
Starting from the PBE geometry in Alexandria, the X-ray powder pattern of Pr9O16 was computed for Cu Kα (λ = 1.5418 Å).
Lines closer than 0.1° are merged.

Crystal structure
Cell: 6.808 7.054 9.179 Å, 73.71 80.05 82.43°
Space group P-1 (No. 2)
Inequivalent atoms, fractional coordinates:
Pr 0.000 0.000 0.000 [1 per cell]
Pr 0.112 0.520 0.774 [2 per cell]
Pr 0.231 0.125 0.528 [2 per cell]
Pr 0.327 0.696 0.330 [2 per cell]
Pr 0.407 0.241 0.102 [2 per cell]
O 0.024 0.214 0.744 [2 per cell]
O 0.068 0.295 0.047 [2 per cell]
O 0.120 0.805 0.549 [2 per cell]
O 0.219 0.390 0.298 [2 per cell]
O 0.337 0.918 0.058 [2 per cell]
O 0.356 0.421 0.568 [2 per cell]
O 0.433 0.491 0.855 [2 per cell]
O 0.471 0.998 0.336 [2 per cell]

The 10 most intense peaks (2θ from 5° to 70°), sorted by position:
2θ 27.16, I 100; 2θ 30.61, I 11; 2θ 30.74, I 11; 2θ 33.00, I 10; 2θ 43.93, I 17; 2θ 45.64, I 23; 2θ 45.76, I 8; 2θ 52.33, I 14; 2θ 52.50, I 13; 2θ 55.44, I 9


2.
Starting from the PBE geometry in Alexandria, the X-ray powder pattern of Cs2Pb2Se3 was computed for Cu Kα (λ = 1.5418 Å).
Lines closer than 0.1° are merged.

Crystal structure
Cell: 17.639 18.555 7.985 Å, 90.00 115.96 90.00°
Space group C2/c (No. 15)
Inequivalent atoms, fractional coordinates:
Cs 0.000 0.069 0.250 [4 per cell]
Cs 0.000 0.231 0.750 [4 per cell]
Cs 0.109 0.416 0.567 [8 per cell]
Pb 0.187 0.242 0.235 [8 per cell]
Pb 0.202 0.078 0.778 [8 per cell]
Se 0.124 0.388 0.074 [8 per cell]
Se 0.141 0.224 0.535 [8 per cell]
Se 0.168 0.069 0.101 [8 per cell]

The 10 most intense peaks (2θ from 5° to 70°), sorted by position:
2θ 11.16, I 42; 2θ 21.45, I 97; 2θ 22.27, I 36; 2θ 23.39, I 27; 2θ 25.14, I 28; 2θ 27.81, I 52; 2θ 28.55, I 46; 2θ 28.86, I 100; 2θ 36.77, I 64; 2θ 44.57, I 28


Bases: object

get(**kwargs)[source]*args, **kwargs)[source]

Creates a decorator that adds a static variable recorders that contains the variable array_debug_recorder to the function it decorates. By default, array_debug_recorder is set to an EmptyArrayRecorder instance. Also, on assignment it automatically creates a subgroup with the same name as the function.

Parameters:a_class (class) – All variables to be named (set to EmptyArrayRecorder()).
A decorator that adds the static variable
array_debug_recorder to the given function.
Return type:(class)*args, **kwargs)[source]

Creates a decorator that adds a static variable, recorders, that holds as many recorders as are supplied.

Parameters:args (tuple of strs) – All variables to be named (set to EmptyArrayRecorder()).
Keyword Arguments:
 kwargs (dict of strs and ArrayRecorders) – All variables to be named with values of type ArrayRecorder.
A decorator that adds
the static variable, recorders, to the given function.
Return type:(callable)*args, **kwargs)[source]

Generates a function used for writing arrays (structured or otherwise) to a group in an HDF5 file.

  • hdf5_handle – The HDF5 file group to place the debug contents into.
  • group_name – The name of the group within hdf5_handle to save the contents to. (If set to the empty string, data will be saved to hdf5_handle directly)
  • enable – Whether to generate a real recorder or a fake one.
  • overwrite_group – Whether to overwrite the group where data is stored.
  • recorder_constructor – Type of recorder to use if enable is True.
  • **kwargs – Other arguments to pass through to the recorder_constructor (won’t pass through if enable is false).

A function, which will take a given array

name and value and write them out.

Return type:

ArrayRecorder*args, **kwargs)[source]

**Records of crystals, as found in the file:**
____________
For SmUB12, a structure optimized by DFT (GGA-PBE) gives the computed X-ray powder pattern in this record (Cu Ka).

Principal peaks in the range 15 to 90 degrees two-theta, most intense first:
d 2.896, 30.9 deg, rel. 100.0, hkl 1 1 0; d 4.096, 21.7 deg, rel. 75.4, hkl 1 0 0; d 1.832, 49.8 deg, rel. 51.4, hkl 2 1 0; d 2.365, 38.1 deg, rel. 41.8, hkl 1 1 2; d 1.672, 54.9 deg, rel. 30.8, hkl 2 1 2; d 1.365, 68.8 deg, rel. 26.2, hkl 2 2 2; d 2.048, 44.2 deg, rel. 21.2, hkl 2 0 0; d 1.095, 89.5 deg, rel. 20.3, hkl 3 2 2; d 1.235, 77.3 deg, rel. 14.1, hkl 3 1 2; d 1.296, 73.0 deg, rel. 13.5, hkl 3 0 2

Structural model:
Cell: 4.0940 4.0940 8.1997 Å, 90.00 90.00 90.00°
Element x y z (fractional)
Sm: 0.0000 0.0000 0.0000
U: 0.0000 0.0000 0.5000
B: 0.1981 0.5000 0.2513
B: 0.1981 0.5000 0.7487
B: 0.5000 0.1981 0.2513
B: 0.5000 0.1981 0.7487
B: 0.5000 0.5000 0.0997
B: 0.5000 0.5000 0.4015
B: 0.5000 0.5000 0.5985
B: 0.5000 0.5000 0.9003
B: 0.5000 0.8019 0.2513
B: 0.5000 0.8019 0.7487
B: 0.8019 0.5000 0.2513
B: 0.8019 0.5000 0.7487

=====

Entry 1:
The following is a simulated PXRD pattern of GaNi14Ru. It was derived from a PBE-relaxed structure, using a wavelength of 1.5418 Å.
No peak broadening, texture or thermal motion is included.

Most intense lines, 10 to 90 degrees two-theta, sorted by position:
Position (°2θ)  I/Imax
42.8  251
42.9  507
44.1  565
47.1  514
47.2  1000
53.7  376

Structure:
Lattice parameters (Å, degrees): 8.2201 5.0466 5.0466 59.83 90.00 90.00
Positions (direct):
Ga 0.0000 0.0000 0.0000
Ni 0.0000 0.5017 0.9975
Ni 0.0000 0.9975 0.5017
Ni 0.2527 0.1667 0.1667
Ni 0.2532 0.6660 0.6660
Ni 0.2545 0.1655 0.6646
Ni 0.2545 0.6646 0.1655
Ni 0.5000 0.3324 0.3324
Ni 0.5000 0.3321 0.8331
Ni 0.5000 0.8321 0.8321
Ni 0.5000 0.8331 0.3321
Ni 0.7455 0.1655 0.6646
Ni 0.7455 0.6646 0.1655
Ni 0.7473 0.1667 0.1667
Ni 0.7468 0.6660 0.6660
Ru 0.0000 0.5003 0.5003

=====

Entry 2:
The following is a simulated PXRD pattern of SmCd10Ag2. It was derived from a PBE-relaxed structure, using a wavelength of 1.5418 Å.
No peak broadening, texture or thermal motion is included.

Most intense lines, 10 to 90 degrees two-theta, sorted by position:
Position (°2θ)  I/Imax
31.0  395
35.9  1000
36.0  945
40.3  758
40.5  227
64.6  347

Structure:
Lattice parameters (Å, degrees): 9.9750 7.6366 7.6111 81.72 49.25 49.03
Positions (direct):
Sm 0.0000 0.0000 0.0000
Cd 0.0000 0.5000 0.0000
Cd 0.0069 0.6513 0.3487
Cd 0.2877 0.5036 0.4964
Cd 0.3487 0.9931 0.0069
Cd 0.4964 0.7123 0.2877
Cd 0.5000 0.0000 0.5000
Cd 0.5036 0.2877 0.7123
Cd 0.6513 0.0069 0.9931
Cd 0.7123 0.4964 0.5036
Cd 0.9931 0.3487 0.6513
Ag 0.0000 0.0000 0.5000
Ag 0.5000 0.5000 0.0000

=====

Entry 3:
The following is a simulated PXRD pattern of Mn2FeRh8. It was derived from a PBE-relaxed structure, using a wavelength of 1.5418 Å.
No peak broadening, texture or thermal motion is included.

Most intense lines, 10 to 90 degrees two-theta, sorted by position:
Position (°2θ)  I/Imax
40.7  236
41.3  174
42.3  1000
____________
**End of the records of crystals:**

Creates a decorator that adds a static variable recorders that contains the variable array_debug_recorder to the function it decorates. By default, array_debug_recorder is set to an EmptyArrayRecorder instance. Also, on assignment it automatically creates a subgroup with the same name as the function.

Parameters:callable (callable) – All variables to be named (set to EmptyArrayRecorder()).
A decorator that adds the static variable
array_debug_recorder to the given function.
Return type:(callable)*args, **kwargs)[source]

Creates a decorator that adds a static variable, recorders, that holds as many recorders as are supplied.

Parameters:args (tuple of strs) – All variables to be named (set to EmptyArrayRecorder()).
Keyword Arguments:
 kwargs (dict of strs and ArrayRecorders) – All variables to be named with values of type ArrayRecorder.
A decorator that adds
the static variable, recorders, to the given function.
Return type:(callable)